(Entries)
<<<
For CaFe8O14F2, a cell relaxed with GGA+U gives the computed powder X-ray diffraction pattern in this record (Cu Kα).
Neutral-atom scattering factors, no anomalous dispersion.

Most intense lines, 10 to 90 degrees two-theta, by intensity:
two_theta	d_spacing	I/Imax
27.08	3.293	100
27.93	3.194	48
54.35	1.688	31
35.82	2.507	29
28.31	3.153	27
34.49	2.601	23
57.69	1.598	23
53.24	1.721	20
40.21	2.243	19
38.10	2.362	18

Structure:
a = 4.496 Å, b = 4.731 Å, c = 13.786 Å
α = 82.35°, β = 87.38°, γ = 87.95°
Space group P1 (No. 1)
Unique sites:
Ca (0.000, 0.000, 0.000)
Fe (0.319, 0.600, 0.846)
Fe (0.375, 0.670, 0.640)
Fe (0.398, 0.359, 0.097)
Fe (0.399, 0.758, 0.427)
Fe (0.436, 0.838, 0.205)
Fe (0.861, 0.131, 0.743)
Fe (0.879, 0.270, 0.300)
Fe (0.880, 0.219, 0.523)
O (0.052, 0.913, 0.846)
O (0.075, 0.973, 0.638)
O (0.096, 0.060, 0.412)
O (0.114, 0.137, 0.184)
O (0.155, 0.436, 0.743)
O (0.183, 0.536, 0.532)
O (0.197, 0.509, 0.985)
O (0.529, 0.993, 0.067)
O (0.562, 0.824, 0.746)
>>>

(Job)
Next, find "(0.879, 0.270," and "0.638)" in the notes further up, and restate these two lines and those between.

(Outcome)
Fe (0.879, 0.270, 0.300)
Fe (0.880, 0.219, 0.523)
O (0.052, 0.913, 0.846)
O (0.075, 0.973, 0.638)